### To do
Start at the top of the rows underneath and echo each line, ending with the one that has "Al3Co2Ag after".

### Material
+++
The following is a PBE-GGA calculation of Al2CoAg after structural relaxation, from the Alexandria database.

Geometry as POSCAR:
```
Al2CoAg
1.0
-1.848 1.848 4.133
1.848 -1.848 4.133
1.848 1.848 -4.133
Al Co Ag
2 1 1
Direct
0.000 0.000 0.000
0.750 0.250 0.500
0.250 0.750 0.500
0.500 0.500 0.000
```

Output
The space group is I-4m2. For the distance to the lowest polymorph of the same formula, the calculation gives 175 meV per atom.

***

The following is a PBE-GGA calculation of AlCo3Ag after structural relaxation, from the Alexandria database.

Geometry as POSCAR:
```
AlCo3Ag
1.0
4.605 0.000 0.000
0.000 4.605 0.000
0.000 0.000 4.605
Al Co Ag
1 3 1
Direct
0.000 0.000 0.000
0.000 0.500 0.500
0.500 0.000 0.500
0.500 0.500 0.000
0.500 0.500 0.500
```

Output
The space group is Pm-3m. For the distance to the lowest polymorph of the same formula, the calculation gives 642 meV per atom.

***

The following is a PBE-GGA calculation of AlCo2Ag2 after structural relaxation, from the Alexandria database.

Geometry as POSCAR:
```
AlCo2Ag2
1.0
-1.839 1.839 6.080
1.839 -1.839 6.080
1.839 1.839 -6.080
Al Co Ag
1 2 2
Direct
0.000 0.000 0.000
0.413 0.413 0.000
0.587 0.587 0.000
0.250 0.750 0.500
0.750 0.250 0.500
```

Output
The space group is I4/mmm. For the distance to the lowest polymorph of the same formula, the calculation gives 139 meV per atom.

***

The following is a PBE-GGA calculation of Al2CoAg after structural relaxation, from the Alexandria database.

Geometry as POSCAR:
```
Al2CoAg
1.0
-1.534 2.084 4.483
1.534 -2.084 4.483
1.534 2.084 -4.483
Al Co Ag
2 1 1
Direct
0.000 0.000 0.000
0.726 0.226 0.500
0.210 0.710 0.500
0.462 0.462 0.000
```

Output
The space group is Imm2. For the distance to the lowest polymorph of the same formula, the calculation gives 163 meV per atom.

***

The following is a PBE-GGA calculation of AlCo2Ag after structural relaxation, from the Alexandria database.

Geometry as POSCAR:
```
AlCo2Ag
1.0
2.751 0.000 0.000
0.000 3.538 0.000
-0.014 0.000 5.498
Al Co Ag
1 2 1
Direct
0.000 0.000 0.000
0.500 0.500 0.211
0.500 0.500 0.789
0.000 0.000 0.500
```

Output
The space group is P2/m. Its total energy is -0.189 hartree per atom.

***

The following is a PBE-GGA calculation of AlCo2Ag after structural relaxation, from the Alexandria database.

Geometry as POSCAR:
```
AlCo2Ag
1.0
0.000 2.992 2.992
2.992 0.000 2.992
2.992 2.992 0.000
Al Co Ag
1 2 1
Direct
0.000 0.000 0.000
0.500 0.500 0.500
0.750 0.750 0.750
0.250 0.250 0.250
```

Output
The space group is F-43m. Its total energy is -0.188 hartree per atom.

***

The following is a PBE-GGA calculation of AlCo2Ag2 after structural relaxation, from the Alexandria database.

Geometry as POSCAR:
```
AlCo2Ag2
1.0
-1.636 1.636 7.352
1.636 -1.636 7.352
1.636 1.636 -7.352
Al Co Ag
1 2 2
Direct
0.000 0.000 0.000
0.250 0.750 0.500
0.750 0.250 0.500
0.400 0.400 0.000
0.600 0.600 0.000
```

Output
The space group is I4/mmm. For the distance to the lowest polymorph of the same formula, the calculation gives 0 meV per atom.

***

The following is a PBE-GGA calculation of Al3Co2Ag after structural relaxation, from the Alexandria database.

Geometry as POSCAR:
```
Al3Co2Ag
1.0
2.837 0.000 0.000
0.000 2.837 0.000
0.000 0.000 9.912
Al Co Ag
3 2 1
Direct
0.000 0.000 0.000
0.000 0.000 0.291
0.000 0.000 0.709
0.500 0.500 0.149
0.500 0.500 0.851
0.500 0.500 0.500
```

Output
The space group is P4/mmm. Its total energy is -0.188 hartree per atom.

***

DOS at the Fermi energy (computed, states/eV/atom): 0.4990; 3.9356; 0.8972; 0.2686; 1.0659; 0.9590; 0.8209; 0.4683

~~~~~

(1)
Material: Hf2AlCu
Method: DFT, PBE
State: optimized geometry

Computed properties:
As for the electronic total energy: -0.4859 Ry per atom. The space group is No. 216. For the size of the total moment, the calculation gives 1.6 μB per cell.

Cell: 4.697 4.697 4.697 Å, 60.00 60.00 60.00°
Sites, in units of the cell vectors:
Hf 0.000 0.000 0.000
Hf 0.250 0.250 0.250
Al 0.750 0.750 0.750
Cu 0.500 0.500 0.500


(2)
+++

### Response
The following is a PBE-GGA calculation of Al2CoAg after structural relaxation, from the Alexandria database.

Geometry as POSCAR:
```
Al2CoAg
1.0
-1.848 1.848 4.133
1.848 -1.848 4.133
1.848 1.848 -4.133
Al Co Ag
2 1 1
Direct
0.000 0.000 0.000
0.750 0.250 0.500
0.250 0.750 0.500
0.500 0.500 0.000
```

Output
The space group is I-4m2. For the distance to the lowest polymorph of the same formula, the calculation gives 175 meV per atom.

***

The following is a PBE-GGA calculation of AlCo3Ag after structural relaxation, from the Alexandria database.

Geometry as POSCAR:
```
AlCo3Ag
1.0
4.605 0.000 0.000
0.000 4.605 0.000
0.000 0.000 4.605
Al Co Ag
1 3 1
Direct
0.000 0.000 0.000
0.000 0.500 0.500
0.500 0.000 0.500
0.500 0.500 0.000
0.500 0.500 0.500
```

Output
The space group is Pm-3m. For the distance to the lowest polymorph of the same formula, the calculation gives 642 meV per atom.

***

The following is a PBE-GGA calculation of AlCo2Ag2 after structural relaxation, from the Alexandria database.

Geometry as POSCAR:
```
AlCo2Ag2
1.0
-1.839 1.839 6.080
1.839 -1.839 6.080
1.839 1.839 -6.080
Al Co Ag
1 2 2
Direct
0.000 0.000 0.000
0.413 0.413 0.000
0.587 0.587 0.000
0.250 0.750 0.500
0.750 0.250 0.500
```

Output
The space group is I4/mmm. For the distance to the lowest polymorph of the same formula, the calculation gives 139 meV per atom.

***

The following is a PBE-GGA calculation of Al2CoAg after structural relaxation, from the Alexandria database.

Geometry as POSCAR:
```
Al2CoAg
1.0
-1.534 2.084 4.483
1.534 -2.084 4.483
1.534 2.084 -4.483
Al Co Ag
2 1 1
Direct
0.000 0.000 0.000
0.726 0.226 0.500
0.210 0.710 0.500
0.462 0.462 0.000
```

Output
The space group is Imm2. For the distance to the lowest polymorph of the same formula, the calculation gives 163 meV per atom.

***

The following is a PBE-GGA calculation of AlCo2Ag after structural relaxation, from the Alexandria database.

Geometry as POSCAR:
```
AlCo2Ag
1.0
2.751 0.000 0.000
0.000 3.538 0.000
-0.014 0.000 5.498
Al Co Ag
1 2 1
Direct
0.000 0.000 0.000
0.500 0.500 0.211
0.500 0.500 0.789
0.000 0.000 0.500
```

Output
The space group is P2/m. Its total energy is -0.189 hartree per atom.

***

The following is a PBE-GGA calculation of AlCo2Ag after structural relaxation, from the Alexandria database.

Geometry as POSCAR:
```
AlCo2Ag
1.0
0.000 2.992 2.992
2.992 0.000 2.992
2.992 2.992 0.000
Al Co Ag
1 2 1
Direct
0.000 0.000 0.000
0.500 0.500 0.500
0.750 0.750 0.750
0.250 0.250 0.250
```

Output
The space group is F-43m. Its total energy is -0.188 hartree per atom.

***

The following is a PBE-GGA calculation of AlCo2Ag2 after structural relaxation, from the Alexandria database.

Geometry as POSCAR:
```
AlCo2Ag2
1.0
-1.636 1.636 7.352
1.636 -1.636 7.352
1.636 1.636 -7.352
Al Co Ag
1 2 2
Direct
0.000 0.000 0.000
0.250 0.750 0.500
0.750 0.250 0.500
0.400 0.400 0.000
0.600 0.600 0.000
```

Output
The space group is I4/mmm. For the distance to the lowest polymorph of the same formula, the calculation gives 0 meV per atom.

***

The following is a PBE-GGA calculation of Al3Co2Ag after structural relaxation, from the Alexandria database.